Wholesome Greentext

cross-posted from: https://sh.itjust.works/post/25805705


::: spoiler Image Transcription (A 4chan "green-text") back when I was first starting, like 4 months in at my gym there was always this super jacked black guy that would put up huge numbers every time he's done with his set he yells out "ooooooo BABY" it was never obnoxious or anything, I found it funny he catches me smirking at him after he did it once he tells me that it helps with the next set I laugh a few weeks pass and I'm on a hard set of deadlifts was still doing strong-lifts so these are my max push through them and for some reason yell out "oooooo BABY" I hear "DAS RIGHT" from across the gym my next was easier Thank you jacked black man :::


cross-posted from: https://sh.itjust.works/post/25450650


::: spoiler Image Transcription (A 4Chan "green-text" titled "Take the cat pill anons" with a photograph of a black cat lying on the carpet) be me depressed, loner, NEET, live at my parents house one day we get a cat, whatever cat hates me for whatever reason is always super cuddly with parents but constantly barfs near me or on my things never lets me pet him or play with him also meows really aggressively around me for no reason try playing with him, he isn't interested and keeps meowing try feeding him, he keeps meowing literally just always meowing as loud as he can around me, it's annoying as hell trying to play clone hero while parents are gone and cat is meowing like always starts walking all over my desk, I've had it with this fucker just start meowing back at him, louder than him, it scares him off and he goes hiding somewhere parents get home and look for him, can't find him anywhere, ask if I let him out we tear the house apart trying to find him, look everywhere, we came to the conclusion that he must've got out somehow and that was that ffw tomorrow night, cat comes out of nowhere from upstairs and rubs all over my legs as l'm standing in the kitchen where-tf-were-you-little-shit.jpeg cat is suddenly very friendly with me and always wants to be near me I start warming up to him as well, it's nice having a cat on your lap while gaming/watching TV noticed I'm feeling less depressed lately, cat is still super friendly with me, even sleeps in my bed now Mfw no longer depressed cause I meowed at a cat in frustration Guess I'm a cat person now bots :::


cross-posted from: https://sh.itjust.works/post/24674909


::: spoiler Image Transcription (A 4Chan "green-text", with a picture of Pepe crying) be me 3 years ago 16 years old Not many friends. Feel alone as hell, see everyone partying and shit and I'm sitting around at home. Classmate at school talking about going out for a drive with friends. Looks at me "Hey anon! Your a funny dude, how about you join us" Heart skips a beat, this is all I have ever wanted. We go out eat some Chipotle, go too Walmart and fuck around there. Buy like 15 king sized kit Kats for shits n giggles. Finally they dropped me off at home I hate home, mom is terrible. Obvious frown Friendo looks at me "hey.. we'll see you around anon. You fit right in. Smiled and nodded Walked inside room and cried happiness cry. :::


cross-posted from: https://lemy.lol/post/29860456


cross-posted from: https://sh.itjust.works/post/23810182


::: spoiler Image Transcription (A 4Chan "green-text", with a picture of Pepe crying) friend invites me to his twitch stream has a decent following we start playing some Vydia and talking people start commenting about how funny l am the next day people ask if he can have me on the stream again Wow, it felt nice. :::


cross-posted from: https://sh.itjust.works/post/23421948


cross-posted from: https://sh.itjust.works/post/23186052


::: spoiler Image Transcription (A 4Chan "green-text", with a picture of SpongeBob and Patrick) Be me in army mandatory in my shitty country first time we noob soldiers fire our guns we lay in the ground and get ready drill instructor yells "are you ready?" i yell back "ai ai captain" random guy two rows away yells " i cant hear you" drill instructor mad and tries to find out who mocked him i yell again "oooooo" random guy shots a rock 10 meters in front of him from laughter ( the target was 300 meter away) dust rises up and one general runs and screams at drill instructor we march back to camp 10 kilometers instead of driving i am attending the "i cant hear you" guy wedding next week :::


cross-posted from: https://sh.itjust.works/post/23052813


cross-posted from: https://sh.itjust.works/post/23005021


::: spoiler Image Transcription (A 4Chan "green-text", titled "positive dad stories thread", with a picture of Pepe) be me, 9 own a toy firetruck god-i-fucking-love-my-fire-truck-.jpg bring to show and tell kids make fun of firetruck go home tell dad dad tells me not to worry about it next day dad wakes me up for drive to school pass school "dad where are we going?" "my friends want to meet you anon" pull up to firehouse dad told his firefighter friends what happened get tour of firehouse and meet real firemen get to honk real firetruck horn my-face-when my dad took off work just to make me feel better over some stupid toy truck :::


cross-posted from: https://sh.itjust.works/post/22824291


cross-posted from: https://sh.itjust.works/post/22730480


cross-posted from: https://sh.itjust.works/post/22728403


::: spoiler Image Transcription (A 4Chan "green-text" with a picture of a Roblox Character dressed in shiny gold clothing) be me like 12 years ago someone asks me if I want robux sure! whats your password its "ilovebeatles123321" they log in actually fucking get a transaction on my account they buy me lifetime Outrageous Builders Club 800 Robux as well literally just log out and then tell me to change my password I still have no idea how my 13 year old self was not scammed :::


::: spoiler spoiler (A 4Chan "green-text", with a picture of Pepe chuckling) have two dogs ask them "who's a good dog!?" never tell them who it's them :::


::: spoiler Image Transcription (A 4Chan "green-text".) married, with a six year old daughter wife hates violent video-games and doesn't want me playing them with daughter in same room my little girl loves some of the violent stuff, but I do draw the line obviously she absolutely loves, loves, loves Raiden, Sam, and the Metal Gear Rising: Revengeance cast of characters. Mostly likes Raiden and Sam over the rest of them. get a phone call from school, saying she was in a fight. have to leave work and address this mess principal explains to me that she punched a boy who made fun of her, stood over him and said, "Show me a good time, Jack." I almost, almost started to laugh and had to brush it off like a cough. had to ball my fist over my mouth, excuse myself. "Anon, do you have any idea where she learned this?" "No sir, but I will talk to her about it." We made it five steps into the parking lot before l lost my shit, imagining my daughter standing over some little shit with her arms spread saying, "Show me a good time, Jack." got her ice cream, had a heart to heart, and had to play it down when wifey got home Kids are a treat sometimes. :::


::: spoiler Image Transcription (A 4Chan "green-text", titled "Altruism", with a close-up photograph of a turtle on the pavement) Riding bike through town See something strange on the side of the road Decide to stop and investigate It's a turtle tucked into its shell Hold finger in front of shell Turtle pokes its head out, sniffs finger, and then retreats back into it's shell It's a hot day, and there are no bodies of water nearby There's a river a few miles away, decide to take the turtle there Ride bike with one hand while holding the turtle People look at me strangely Don't care, the turtle is all that matters Turtle pokes its head out when going fast downhill Probably the fastest the turtle has ever gone Finally reach the river Set the turtle on the shore under some shade After about 10 seconds the turtle crawls into the water Looks back at me before submerging and swimming away Feel more emotion in that moment than I have in the last few years Despite my mistakes and shortcomings, a creature's life was made better by my existence Is using our time to help others the real answer? :::


::: spoiler Image Transcription (A 4Chan "green-text" titled "The elderly is wise", with a black-and-white portrait photograph of an elderly woman staring into the camera) Be me, lonely guy in Britain Get in the public transport to get back home Sit next to a lovely old lady who smiled at me Have a little talk She tells me really interesting stuff and we have some laughs together She tells that this day se would've been celebrating his brother's birthday but he is gone We keep talking She tells me a heartwarming advise: 'I could stay indoors and think about bad things, instead, I decide to go outside, see things, smile at people, they smile back at me, there is no point of being sad and angry at home' Actually I feel like if I listened some sort of prophet She gets to her stop and leaves, we say Happy Christmas to each other Elderly deserve respect, I'll probably join as a volunteer to some kind of organisation that helps them. :::


::: spoiler Image Transcription (A 4Chan "green-text", with a photograph of a lake in the early morning) be me 22 visiting parents see younger sister for first time in years 13yo TikTok kid who listens to the same 5 songs spend day driving around and listening to music with her have drinks with dad that night spend night in basement office room is below hers hear her listening to a bunch of the songs I played in the truck I feel accomplished as a big brother. :::


::: spoiler Image Transcription (A 4Chan "green-text", with a drawing of Pepe driving whilst looking down at a puppy on the passenger seat) be me be loser who drives a delivery van all day work is fucking boring as fuck get new puppy puppy is sad when I go to work have idea I will take puppy to work with me Next day put puppy in van Puppy sits shotgun all day, does not piss or poop in cab Take puppy to park during lunch break Puppy waits patiently while I make deliveries Drive home Realize work was fun with my little puppy buddy Have never had this much enjoyment of work Thank you puppy :::


::: spoiler Image Transcription (A 4Chan "green-text", with a pencil sketch of a girl looking at a flower) finals are near cant concentrate on studying because a lot of stuff in my mind lately first exam is on thursday, history. fuck.png talk to mom i love my mom "i used to love history, fem-anon. stayed up until 4am reading everything i could, it's beautiful" she motivates me to study thanks to her passion read first topic hey, this ain't that bad be thrown aback because dates and weird ass names mom comes in room "i made you some roasted chestnuts" be one of my favourite winter desserts "continue studying sweetie, good luck! i know u can do it!" im gonna do this for you mom. im gonna have the greatest grades i can achieve. i love you mom. i'll make you proud, i swear. :::


::: spoiler Image Transcription (A 4Chan "green-text", with a photograph of a grape vine bearing two luscious bunches of green grapes) be me live in california extremely hot lately out for a walk because i need exercise taking dirt path come across a short Mexican man selling fruit with his son browse his fruits, they're all ripe and juicy man and son are both just smiling at me I realize i don't have my wallet try to explain that i have no money and start to turn to leave hear them talking in rapid-fire Spanish then the man hollers "Senor! quieres uva?" don't know what "uva" is but i say yes he hands me a bunch of green grapes like picrel i try again to say i have no money then the son says "he know, he say you look hungry" in broken english thank them over and over eat the grapes on my walk literally the best grapes i've ever eaten if i ever see them again i'm going to pay them 5x the cost of those grapes. thank you senor uva :::


::: spoiler Image Transcription (A 4Chan "green-text", with a picture of Pepe wearing a blue starry wizard hat and holding a star-topped wand) at a stop light light is red "go green.... NOW" still red "go green... NOW" still red "go green... NOW" turns green my-face-when :::


::: spoiler Image Transcription (A 4Chan "green-text" titled "Bug Bro", with a photograph of a praying mantis) 15 year old daughter suddenly got an extreme interest in mantises decide to buy her one she cares for it like a baby, honestly surprised at her responsibility over her pet she wants me to hold it but I don't wanna eventually she wears me down and I do it the damn thing looks me in the face when it's not focused on the tricks she makes it do (jump from hand to hand, etc) daughter tells me it can eat all sorts of meat what the hell feed it a piece of steak IT EATS IT FROM MY HAND have been bonding with the mantis ever since I never thought I could get this invested in a bug. :::

Version one
C8H17NO | wB97M-V/def2-TZVPD

Geometry as XYZ:
```
27
C8H17NO, DFT wB97M-V/def2-TZVPD
C 1.488 1.957 0.130
N 1.467 0.695 -0.642
C 1.644 -0.478 0.089
C 2.274 -1.778 -0.657
O 1.169 -0.361 1.245
H 1.319 1.591 1.225
H 2.416 2.667 0.021
H 0.605 2.643 -0.084
H 2.411 0.863 -1.425
H 2.968 -1.424 -1.520
H 1.587 -2.560 -0.789
H 2.980 -2.265 -0.059
C -2.256 -1.097 -0.282
C -1.500 -0.808 1.117
C -0.926 0.629 0.723
C -1.762 1.196 -0.440
C -1.857 -0.061 -1.195
H -2.067 -2.123 -0.523
H -3.423 -1.197 0.201
H -0.712 -1.470 1.477
H -2.245 -0.770 1.924
H 0.031 0.377 0.307
H -0.948 1.080 1.740
H -1.094 1.839 -1.021
H -2.767 1.663 -0.344
H -0.825 -0.230 -1.351
H -2.491 -0.027 -2.157
```

The value obtained for the LUMO energy is 0.54 eV. As for the molar mass: 143.2 g/mol. As for the HOMO energy: -0.341 hartree. As for the gap between HOMO and LUMO: 0.361 Ha.

Version two
C8H17NO | wB97M-V/def2-TZVPD

Geometry as XYZ:
```
27
C8H17NO, DFT wB97M-V/def2-TZVPD
C 2.062 -1.521 -0.072
C 1.272 -0.686 -1.042
C 1.048 0.622 -0.871
O 1.528 1.327 0.193
N 0.258 1.381 -1.723
C 0.426 2.817 -1.748
H 1.610 -1.511 0.928
H 2.094 -2.552 -0.411
H 3.096 -1.165 0.017
H 0.866 -1.174 -1.912
H 1.869 0.700 0.840
H 0.167 0.963 -2.638
H 1.399 3.130 -2.149
H -0.366 3.246 -2.361
H 0.336 3.192 -0.730
C -0.700 0.126 2.160
C -1.362 -0.608 1.284
C -1.344 -2.106 1.314
C -2.188 -0.008 0.188
H -0.714 1.202 2.132
H -0.116 -0.320 2.950
H -2.365 -2.499 1.364
H -0.781 -2.486 2.160
H -0.904 -2.485 0.400
H -1.855 -0.383 -0.777
H -3.234 -0.279 0.316
H -2.104 1.076 0.187
```

The value obtained for the LUMO energy is 0.87 eV. As for the molar mass: 143.2 g/mol. As for the HOMO energy: -0.275 hartree. As for the gap between HOMO and LUMO: 0.307 Ha.

Energies relative to the most stable structure are version one 3.834; version two 0.000, reported in eV.

Version one
C6H8N2O2 | wB97M-V/def2-TZVPD

Geometry as XYZ:
```
18
C6H8N2O2, DFT wB97M-V/def2-TZVPD
C 1.806 0.000 -0.084
C 1.035 -1.196 -0.050
C 1.221 1.183 -0.006
C -0.853 0.079 0.222
C 1.242 2.624 0.017
C -1.063 -2.348 0.053
N -0.291 -1.116 0.059
N -2.107 0.534 0.010
O -2.274 1.755 0.001
O -3.026 -0.287 -0.158
H 2.880 -0.109 -0.188
H 1.490 -2.169 -0.101
H 1.797 2.998 -0.846
H 0.226 3.016 -0.033
H 1.711 2.990 0.934
H -0.589 -3.081 -0.597
H -1.131 -2.748 1.065
H -2.073 -2.126 -0.297
```

The value obtained for the LUMO energy (spin up / spin down) is -0.58 / -0.58 eV. As for the molar mass: 140.1 g/mol. As for the HOMO energy (spin up / spin down): -0.283 / -0.283 hartree. As for the gap between HOMO and LUMO (spin up / spin down): 0.262 / 0.261 Ha.

Version two
C6H8N2O2 | wB97M-V/def2-TZVPD

Geometry as XYZ:
```
18
C6H8N2O2, DFT wB97M-V/def2-TZVPD
C -1.045 -0.104 0.300
C -1.280 2.122 -0.376
C 3.876 0.124 -0.113
C 0.891 1.732 0.470
C -0.590 -1.104 -0.443
C 0.115 -2.288 0.129
N -1.746 0.976 -0.206
N 0.045 2.534 -0.115
O 4.210 1.194 0.118
O 3.570 -0.951 -0.353
H -0.971 -0.126 1.381
H -1.915 2.905 -0.776
H 1.871 2.233 0.583
H -0.673 -1.051 -1.518


::: spoiler Image Transcription (A 4Chan "green-text" with a picture of Wojak) my mom left school at 16 due to poverty never showed much interest in books, music etc retired last year has since been reading through all the books I left in boxes at home her enthusiasm for reading is so pure l feel bad for not enjoying reading that much these days she kept asking me if I was writing a book and said she could "never do that" picked up the hint and encouraged her to give it a go, without getting my hopes up that-feeling-when she sent me a story she wrote about two rabbits who become friends that-feeling-when it made me cry and feels more honest than anything I've written How to cope with this feel bros? l love my mum so much. :::


::: spoiler Image Transcription (A 4Chan "green-text", with a picture of a seal plushie) Title: my Christmas experience be me an 18 year old autistic kid who likes stuff animals tell my older brother about these round seal plush toys from japan that are really cute brother probably not paying too much attention I assumed so I forgot I told him ast forward to December 25th brother hands me a flat package I think it's a shirt or something I open it up I find a very flattened small version of the seal pillow I told him about I am very happy and tell him how much I love it thanks brother :::


::: spoiler Image Transcription be me (A 4Chan "green-text", with a picture of Pepe wiping a tear from his eye) in highschool decide to give the quiet kid a chance, he seems alright my friend and i approach him "hey dude yeah wassup u alright" he has like no one to talk to he gives in 6 months go by, we are talking like usual since i like to talk to lots of different people, people always come to talk to me also, since quiet kid has no one he just kinda sticks by me most times overtime, we talk less; other people see that he is likeable and hang out with him at school eventually, we stop talking no problem, my main intention was for him to have friends anyway fast forward months later schools ended check his instagram story its him and his friends from our old highschool hanging out see it quite frequently now proud of him mission passed, glad that he actually has friends now :::


::: spoiler Image Transcription (A 4Chan "green-text", with an image of giga-chad doing a thumbs-up) Dating a blind girl All of her friends are blind Love that she holds my arm when we're out Love that she eventually got used to my apartment and can now navigate around by herself Love that her guide dog is super friendly and is always on the job to help her. Love that her family sees me as a great person because her being blind doesn't bother me Love that she doesn't use the internet because it's too much hassle Love that she requests I read new books for her in my voice and record them so she has her own boyfriend audiobook library. :::


::: spoiler Image Transcription (A 4Chan "green-text", with a picture of Luigi) be me 9 at the time playing Luigi's Mansion for the first time get to the piano ghost melody develop crush on her force parents to buy me a keyboard and take me to piano lessons ›eventually get really good at it fast-forward 3 years playing the piano at some department store while waiting for my mom to finish shopping girl from my school sees me "wow anon i didn't know you played that good" turns out she's also a piano fag get her number fuckyeah.jpg fast-forward to today still with her going to college probably gonna major in music my-face-when this all started cuz i had a crush on some ghost bitch from Luigi's Mansion thanks Luigi :::

**Between two parts of the text: data records**
........
1.
Molecular formula: C37H44I2MoN4P2SSi2
Method: DFT, the ωB97M-V functional and the def2-TZVPD basis

Geometry as ORCA input:
```
! wB97M-V def2-TZVPD RIJCOSX def2/J DEFGRID3
* xyz 4 1
Mo 0.9881 -0.0044 -0.0153
C 2.5836 1.3775 3.0593
Si 1.3642 -0.0140 3.4303
C -0.2111 0.6913 4.1674
C 2.2559 -1.4157 4.2908
N 0.8165 -0.7135 1.7897
P -0.3183 -1.9551 1.6153
C -0.6957 -1.2299 0.0326
P -0.5832 -1.7505 -1.6646
N 0.7125 -0.6600 -1.7815
Si 1.3731 -0.0232 -3.4186
C 3.1785 -0.5624 -3.4003
C 1.1721 1.8406 -3.2954
C 0.4360 -0.8054 -4.8278
C -0.1475 -3.4249 -2.0839
C 1.0290 -3.7153 -2.7744
C 1.2538 -5.0108 -3.2054
C 0.3203 -6.0063 -2.9381
C -0.8395 -5.7179 -2.2261
C -1.0854 -4.4234 -1.8018
C -1.9681 -1.1739 -2.6229
C -2.3531 0.1640 -2.4686
C -3.3984 0.6656 -3.2196
C -4.0592 -0.1638 -4.1228
C -3.6764 -1.4907 -4.2754
C -2.6306 -2.0064 -3.5269
C -1.6170 -2.0426 2.8176
C -2.8580 -1.4699 2.5217
C -3.8586 -1.5017 3.4765
C -3.6286 -2.0989 4.7113
C -2.3977 -2.6828 4.9960
C -1.3842 -2.6556 4.0548
C 0.6080 -3.4853 1.4519
C 1.7914 -3.4832 0.7111
C 2.5467 -4.6328 0.5992
C 2.1167 -5.7998 1.2264
C 0.9239 -5.8170 1.9335
C 0.1606 -4.6646 2.0483
H 2.5151 2.1021 3.8755
H 2.4029 1.9338 2.1383
H 3.6167 1.0247 3.0532
H 0.0345 1.5775 4.7563
H -0.7079 -0.0118 4.8372
H -0.9344 0.9822 3.4025
H 2.5560 -1.0733 5.2853
H 3.1664 -1.7018 3.7619
H 1.6497 -2.3117 4.4274
H 3.6207 -0.6532 -2.4090
H 3.7621 0.1628 -3.9737
H 3.2981 -1.5192 -3.9134
H 1.6137 2.2782 -2.3960
H 0.1225 2.1396 -3.3433
H 1.6678 2.3087 -4.1500
H 0.1687 -1.8484 -4.6524
H 1.0815 -0.7835 -5.7105
H -0.4730 -0.2565 -5.0782
H 1.7516 -2.9343 -2.9824
H 2.1520 -5.2547 -3.7577
H 0.4895 -7.0134 -3.2964
H -1.5580 -6.5000 -2.0194
H -2.0000 -4.1827 -1.2689
H -1.8169 0.7987 -1.7726
H -3.7073 1.6966 -3.1065
H -4.8762 0.2295 -4.7137
H -4.1932 -2.1274 -4.9809
H -2.3284 -3.0377 -3.6541
H -3.0436 -1.0274 1.5496
H -4.8260 -1.0687 3.2589
H -4.4145 -2.1160 5.4551
H -2.2298 -3.1638 5.9504
H -0.4273 -3.1064 4.2844
H 2.1190 -2.5678 0.2220
H 3.4647 -4.6351 0.0265
H 2.7173 -6.6977 1.1609
H 0.5875 -6.7283 2.4099
H -0.7744 -4.6951 2.5919
I -0.1899 2.4426 0.3306
I -2.8595 2.2428 0.8587
N 8.0702 1.2649 -0.7390
C 7.3832 0.7995 0.2962
S 7.9809 0.5770 1.8198
C 5.9266 0.5755 0.1872
C 5.0672 1.5252 -0.3896
C 3.7109 1.3194 -0.3611
N 3.1353 0.2250 0.1953
C 3.9668 -0.6917 0.7533
C 5.3293 -0.5564 0.7639
H 9.0541 1.4670 -0.6301
H 7.6844 1.3885 -1.6612
H 5.4522 2.4429 -0.8151
H 3.0483 2.0688 -0.7860
H 3.5042 -1.5434 1.2348
H 5.9426 -1.3093 1.2395
*
```

Output
HOMO energy (spin up / spin down) = -17.059 / -17.061 eV
E_tot = -108233.28995 eV

Mulliken population analysis, charges in e, atoms 1 to 2:
1 Mo -0.96
2 C -0.98

***

2.
Molecular formula: C18H18GaNO4
Method: DFT, the ωB97M-V functional and the def2-TZVPD basis

Geometry as ORCA input:
```
! wB97M-V def2-TZVPD RIJCOSX def2/J DEFGRID3
* xyz 0 1
C -0.2013 3.2989 -1.1066
C 0.9165 3.3271 -0.2458
C 1.7631 2.2615 -0.6038
H 1.0897 4.0356 0.5453
C 1.1719 1.5783 -1.6827
C -0.0473 2.2128 -1.9902
........


::: spoiler Image Transcription (A 4chan "greentext", with an image of Pepe wearing a pink Wizard's hat) Be me, sleep deprived DM, half an hour ago Get startled by phone ringing It's one of my players Me: "Dude, it's midnight, you good?" Friend: "Yeah yeah, sorry if I woke you. Could I ask for a favor?" OhGod HeKilled Someone.gif Me: "Uh, sure? Shoot." Friend: "My daughter can't sleep, could you tell a quick story over speakerphone? She loves listening to the recordings of our sessions before bed, but I left my laptop at the office so I can't play them." NaniTheFuck.mp3 Me: "She listens to us to fall asleep?" Friend: "Yeah, but she really likes your plot and NPC acting bits. She calls you 'dumb dumb mister! Guess Dungeon Master is a bit hard for a preschooler." Me: "Wow... well, if it will help her sleep, then sure." Friend: "Thank you! Okay, give me a sec to head back to her room." (pause) "Okay, you're on speaker." Me: "Hey, [daughters name], it's uncle Anon." Daughter: (Happy gasp) "Dumb dumb Mister!" I'veNeverBeenHappierToBeCalledADumbDumb.jpg Me: "You ready for a story about...(DM IMPROV SKILLS ENGAGE)...the time your daddy and his friends went deep into a cursed temple to save a frost dragon egg?" Daughter: (Incomprehensible happy squealing noises) I then proceed to spend nearly 20 min spitballing a story over the phone for the most fascinated little girl until she eventually fell asleep. Friend thanks me for the help and says he'll see me on game night. Lay down in bed, actually feel content and comfortable for once. I should have thanked him. I am the dumb dumb mister. :::